Could you duplicate all of the entries further down unchanged?

<<<
1.
Entry from the Materials Project database: crystalline NbSnS2 at its relaxed geometry (r²SCAN). Values from VASP.

Structure (Quantum ESPRESSO input):
```
&SYSTEM
  ibrav = 0, nat = 8, ntyp = 3
/
ATOMIC_SPECIES
Nb 92.91 Nb.upf
Sn 118.71 Sn.upf
S 32.06 S.upf
ATOMIC_POSITIONS crystal
Nb 0.333 0.667 0.250
Nb 0.667 0.333 0.750
Sn 0.000 0.000 0.000
Sn 0.000 0.000 0.500
S 0.000 0.000 0.161
S 0.000 0.000 0.339
S 0.000 0.000 0.661
S 0.000 0.000 0.839
CELL_PARAMETERS angstrom
3.356 0.000 0.000
-1.678 2.906 0.000
0.000 0.000 17.501
```

Results
* total magnetic moment: 0.000 μB/atom

---

2.
Entry from the Materials Project database: crystalline TiNb3S6 at its relaxed geometry (r²SCAN). Values from VASP.

Structure (Quantum ESPRESSO input):
```
&SYSTEM
  ibrav = 0, nat = 20, ntyp = 3
/
ATOMIC_SPECIES
Ti 47.87 Ti.upf
Nb 92.91 Nb.upf
S 32.06 S.upf
ATOMIC_POSITIONS crystal
Ti 0.167 0.833 0.750
Ti 0.833 0.167 0.250
Nb 0.167 0.833 0.002
Nb 0.167 0.833 0.498
Nb 0.500 0.500 0.000
Nb 0.500 0.500 0.500
Nb 0.833 0.167 0.502
Nb 0.833 0.167 0.998
S 0.166 0.168 0.126
S 0.167 0.498 0.374
S 0.168 0.166 0.874
S 0.168 0.502 0.626
S 0.498 0.167 0.626
S 0.498 0.832 0.874
S 0.502 0.168 0.374
S 0.502 0.833 0.126
S 0.832 0.498 0.126
S 0.832 0.834 0.374
S 0.833 0.502 0.874
S 0.834 0.832 0.626
CELL_PARAMETERS angstrom
2.907 -5.034 0.000
2.907 5.034 0.000
0.000 0.000 12.536
```

Results
* total magnetic moment: 0.101 μB/atom

---

3.
Entry from the Materials Project database: crystalline Nb6TlS8 at its relaxed geometry (r²SCAN). Values from VASP.

Structure (Quantum ESPRESSO input):
```
&SYSTEM
  ibrav = 0, nat = 15, ntyp = 3
/
ATOMIC_SPECIES
Nb 92.91 Nb.upf
Tl 204.38 Tl.upf
S 32.06 S.upf
ATOMIC_POSITIONS crystal
Nb 0.041 0.224 0.000
Nb 0.154 0.711 0.500
Nb 0.182 0.959 0.000
Nb 0.289 0.443 0.500
Nb 0.557 0.846 0.500
Nb 0.776 0.818 0.000
Tl 0.667 0.333 0.000
S 0.000 0.000 0.500
S 0.011 0.392 0.500
S 0.318 0.275 0.000
S 0.333 0.667 0.000
S 0.381 0.989 0.500
S 0.608 0.619 0.500
S 0.725 0.043 0.000
S 0.957 0.682 0.000
CELL_PARAMETERS angstrom
9.752 0.000 0.000
-4.876 8.446 0.000
0.000 0.000 3.398
```

Results
* total magnetic moment: 0.012 μB/atom

---

4.
Entry from the Materials Project database: crystalline Nb2Tl4S11 at its relaxed geometry (r²SCAN). Values from VASP.

Structure (Quantum ESPRESSO input):
```
&SYSTEM
  ibrav = 0, nat = 34, ntyp = 3
/
ATOMIC_SPECIES
Nb 92.91 Nb.upf
Tl 204.38 Tl.upf
S 32.06 S.upf
ATOMIC_POSITIONS crystal
Nb 0.122 0.364 0.306
Nb 0.334 0.109 0.190
Nb 0.666 0.891 0.810
Nb 0.878 0.636 0.694
Tl 0.059 0.760 0.976
Tl 0.216 0.968 0.573
Tl 0.243 0.420 0.585
Tl 0.497 0.726 0.115
Tl 0.503 0.274 0.885
Tl 0.757 0.580 0.415
Tl 0.784 0.032 0.427
Tl 0.941 0.240 0.024
S 0.008 0.708 0.533
S 0.039 0.134 0.253
S 0.044 0.647 0.245
S 0.108 0.485 0.813
S 0.270 0.042 0.042
S 0.275 0.398 0.111
S 0.364 0.861 0.333
S 0.391 0.195 0.372
S 0.396 0.430 0.352
S 0.414 0.074 0.745
S 0.476 0.684 0.882
S 0.524 0.316 0.118
S 0.586 0.926 0.255
S 0.604 0.570 0.648
S 0.609 0.805 0.628
S 0.636 0.139 0.667
S 0.725 0.602 0.889
S 0.730 0.958 0.958
S 0.892 0.515 0.187
S 0.956 0.353 0.755
S 0.961 0.866 0.747
S 0.992 0.292 0.467
CELL_PARAMETERS angstrom
7.966 0.000 0.000
0.710 8.997 0.000
0.184 4.073 12.701
```

Results
* total magnetic moment: 0.000 μB/atom

---

no.,E (eV per atom)
1,-17.3294
2,-14.9438
3,-18.9078
4,-21.2617
>>>

1.
Entry from the Materials Project database: crystalline NbSnS2 at its relaxed geometry (r²SCAN). Values from VASP.

Structure (Quantum ESPRESSO input):
```
&SYSTEM
  ibrav = 0, nat = 8, ntyp = 3
/
ATOMIC_SPECIES
Nb 92.91 Nb.upf
Sn 118.71 Sn.upf
S 32.06 S.upf
ATOMIC_POSITIONS crystal
Nb 0.333 0.667 0.250
Nb 0.667 0.333 0.750
Sn 0.000 0.000 0.000
Sn 0.000 0.000 0.500
S 0.000 0.000 0.161
S 0.000 0.000 0.339
S 0.000 0.000 0.661
S 0.000 0.000 0.839
CELL_PARAMETERS angstrom
3.356 0.000 0.000
-1.678 2.906 0.000
0.000 0.000 17.501
```

Results
* total magnetic moment: 0.000 μB/atom

---

2.
Entry from the Materials Project database: crystalline TiNb3S6 at its relaxed geometry (r²SCAN). Values from VASP.

Structure (Quantum ESPRESSO input):
```
&SYSTEM
  ibrav = 0, nat = 20, ntyp = 3
/
ATOMIC_SPECIES
Ti 47.87 Ti.upf
Nb 92.91 Nb.upf
S 32.06 S.upf
ATOMIC_POSITIONS crystal
Ti 0.167 0.833 0.750
Ti 0.833 0.167 0.250
Nb 0.167 0.833 0.002
Nb 0.167 0.833 0.498
Nb 0.500 0.500 0.000
Nb 0.500 0.500 0.500
Nb 0.833 0.167 0.502
Nb 0.833 0.167 0.998
S 0.166 0.168 0.126
S 0.167 0.498 0.374
S 0.168 0.166 0.874
S 0.168 0.502 0.626
S 0.498 0.167 0.626
S 0.498 0.832 0.874
S 0.502 0.168 0.374
S 0.502 0.833 0.126
S 0.832 0.498 0.126
S 0.832 0.834 0.374
S 0.833 0.502 0.874
S 0.834 0.832 0.626
CELL_PARAMETERS angstrom
2.907 -5.034 0.000
2.907 5.034 0.000
0.000 0.000 12.536
```

Results
* total magnetic moment: 0.101 μB/atom

---

3.
Entry from the Materials Project database: crystalline Nb6TlS8 at its relaxed geometry (r²SCAN). Values from VASP.

Structure (Quantum ESPRESSO input):
```
&SYSTEM
  ibrav = 0, nat = 15, ntyp = 3
/
ATOMIC_SPECIES
Nb 92.91 Nb.upf
Tl 204.38 Tl.upf
S 32.06 S.upf
ATOMIC_POSITIONS crystal
Nb 0.041 0.224 0.000
Nb 0.154 0.711 0.500
Nb 0.182 0.959 0.000
Nb 0.289 0.443 0.500
Nb 0.557 0.846 0.500
Nb 0.776 0.818 0.000
Tl 0.667 0.333 0.000
S 0.000 0.000 0.500
S 0.011 0.392 0.500
S 0.318 0.275 0.000
S 0.333 0.667 0.000
S 0.381 0.989 0.500
S 0.608 0.619 0.500
S 0.725 0.043 0.000
S 0.957 0.682 0.000
CELL_PARAMETERS angstrom
9.752 0.000 0.000
-4.876 8.446 0.000
0.000 0.000 3.398
```

Results
* total magnetic moment: 0.012 μB/atom

---

4.
Entry from the Materials Project database: crystalline Nb2Tl4S11 at its relaxed geometry (r²SCAN). Values from VASP.

Structure (Quantum ESPRESSO input):
```
&SYSTEM
  ibrav = 0, nat = 34, ntyp = 3
/
ATOMIC_SPECIES
Nb 92.91 Nb.upf
Tl 204.38 Tl.upf
S 32.06 S.upf
ATOMIC_POSITIONS crystal
Nb 0.122 0.364 0.306
Nb 0.334 0.109 0.190
Nb 0.666 0.891 0.810
Nb 0.878 0.636 0.694
Tl 0.059 0.760 0.976
Tl 0.216 0.968 0.573
Tl 0.243 0.420 0.585
Tl 0.497 0.726 0.115
Tl 0.503 0.274 0.885
Tl 0.757 0.580 0.415
Tl 0.784 0.032 0.427
Tl 0.941 0.240 0.024
S 0.008 0.708 0.533
S 0.039 0.134 0.253
S 0.044 0.647 0.245
S 0.108 0.485 0.813
S 0.270 0.042 0.042
S 0.275 0.398 0.111
S 0.364 0.861 0.333
S 0.391 0.195 0.372
S 0.396 0.430 0.352
S 0.414 0.074 0.745
S 0.476 0.684 0.882
S 0.524 0.316 0.118
S 0.586 0.926 0.255
S 0.604 0.570 0.648
S 0.609 0.805 0.628
S 0.636 0.139 0.667
S 0.725 0.602 0.889
S 0.730 0.958 0.958
S 0.892 0.515 0.187
S 0.956 0.353 0.755
S 0.961 0.866 0.747
S 0.992 0.292 0.467
CELL_PARAMETERS angstrom
7.966 0.000 0.000
0.710 8.997 0.000
0.184 4.073 12.701
```

Results
* total magnetic moment: 0.000 μB/atom

---

no.,E (eV per atom)
1,-17.3294
2,-14.9438
3,-18.9078
4,-21.2617